Source
V2FePb | Alexandria via LeMat-Bulk | PBE | relaxed; final energy = -56.32 eV for the cell shown; formation enthalpy at 0 K = 0.56 eV/atom; crystal system = tetragonal
1.0
-3.5072 3.5072 2.6742
3.5072 -3.5072 2.6742
3.5072 3.5072 -2.6742
V Fe Pb
4 2 2
direct
0.0543 0.6250 0.9293 V
0.3750 0.3043 0.4293 V
0.6957 0.1250 0.0707 V
0.8750 0.9457 0.5707 V
0.0000 0.0000 0.0000 Fe
0.7500 0.2500 0.5000 Fe
0.2500 0.7500 0.5000 Pb
0.5000 0.5000 0.0000 Pb


--- a ---
The following is a GGA-PBE calculation of Li3InRh after structural relaxation, from the Alexandria database. Values from VASP.

Structure (Quantum ESPRESSO input):
```
&SYSTEM
  ibrav = 0, nat = 20, ntyp = 3
/
ATOMIC_SPECIES
Li 6.94 Li.upf
In 114.82 In.upf
Rh 102.91 Rh.upf
CELL_PARAMETERS angstrom
5.6196 0.0000 0.0000
0.0000 8.5621 0.0000
-4.7552 0.0000 6.5372
ATOMIC_POSITIONS crystal
Li 0.0323 0.1260 0.2618
Li 0.0323 0.3740 0.7618
Li 0.2140 0.6480 0.6461
Li 0.2140 0.8520 0.1461
Li 0.3702 0.6199 0.0330
Li 0.3702 0.8801 0.5330
Li 0.6298 0.1199 0.4670
Li 0.6298 0.3801 0.9670
Li 0.7860 0.1480 0.8539
Li 0.7860 0.3520 0.3539
Li 0.9677 0.6260 0.2382
Li 0.9677 0.8740 0.7382
In 0.3828 0.1323 0.0557
In 0.3828 0.3677 0.5557
In 0.6172 0.6323 0.4443
In 0.6172 0.8677 0.9443
Rh 0.2138 0.1071 0.6604
Rh 0.2138 0.3929 0.1604
Rh 0.7862 0.6071 0.8396
Rh 0.7862 0.8929 0.3396
```

Results
SG	P2_1/c
total magnetic moment	0.000	μB/cell



--- b ---
The following is a GGA-PBE calculation of Li3InRh after structural relaxation, from the Alexandria database. Values from VASP.

Structure (Quantum ESPRESSO input):
```
&SYSTEM
  ibrav = 0, nat = 5, ntyp = 3
/
ATOMIC_SPECIES
Li 6.94 Li.upf
In 114.82 In.upf
Rh 102.91 Rh.upf
CELL_PARAMETERS angstrom
4.6219 0.0000 0.0000
0.0000 4.6219 0.0000
0.0000 0.0000 4.6219
ATOMIC_POSITIONS crystal
Li 0.0000 0.0000 0.5000
Li 0.0000 0.5000 0.0000
Li 0.5000 0.0000 0.0000
In 0.5000 0.5000 0.5000
Rh 0.0000 0.0000 0.0000
```

Results
SG	Pm-3m
total magnetic moment	0.000	μB/cell



--- c ---
The following is a GGA-PBE calculation of Li3InRh after structural relaxation, from the Alexandria database. Values from VASP.

Structure (Quantum ESPRESSO input):
```
&SYSTEM
  ibrav = 0, nat = 5, ntyp = 3
/
ATOMIC_SPECIES
Li 6.94 Li.upf
In 114.82 In.upf
Rh 102.91 Rh.upf
CELL_PARAMETERS angstrom
2.9845 0.0000 0.0000
0.0011 4.3320 0.0000
1.4467 2.1569 6.6967
ATOMIC_POSITIONS crystal
Li 0.0000 0.0000 0.0000
Li 0.1472 0.6463 0.7099
Li 0.4400 0.4389 0.1216
In 0.7652 0.2600 0.4823
Rh 0.3378 0.8318 0.3383
```

Results
SG	P1
total magnetic moment	0.000	μB/cell



a comes first in stability; the runner-up is 64 meV/atom higher.



--- a ---
The following is a GGA-PBE calculation of Li6InRh2 after structural relaxation, from the Alexandria database. Values from VASP.

Structure (Quantum ESPRESSO input):
```
&SYSTEM
  ibrav = 0, nat = 9, ntyp = 3
/
ATOMIC_SPECIES
Li 6.94 Li.upf
In 114.82 In.upf
Rh 102.91 Rh.upf
CELL_PARAMETERS angstrom
2.1945 1.2670 9.1150
-2.1945 1.2670 9.1150
0.0000 -2.5339 9.1150
ATOMIC_POSITIONS crystal
Li 0.0723 0.0723 0.0723
Li 0.2172 0.2172 0.2172
Li 0.3096 0.3096 0.3096
Li 0.6904 0.6904 0.6904
Li 0.7828 0.7828 0.7828
Li 0.9277 0.9277 0.9277
In 0.5000 0.5000 0.5000
Rh 0.4054 0.4054 0.4054
Rh 0.5946 0.5946 0.5946
```

Results
SG	R-3m
total magnetic moment	0.000	μB/cell



--- b ---
The following is a GGA-PBE calculation of Li6InRh2 after structural relaxation, from the Alexandria database. Values from VASP.

Structure (Quantum ESPRESSO input):
```
&SYSTEM
  ibrav = 0, nat = 9, ntyp = 3
/
ATOMIC_SPECIES
Li 6.94 Li.upf
In 114.82 In.upf
Rh 102.91 Rh.upf
CELL_PARAMETERS angstrom
3.4444 -3.8337 0.0000
3.4444 3.8337 0.0000
-0.8442 0.0000 5.0774
ATOMIC_POSITIONS crystal
Li 0.1748 0.4997 0.3251
Li 0.1754 0.8246 0.0000
Li 0.4997 0.1748 0.3251
Li 0.5003 0.8252 0.6749
Li 0.8246 0.1754 0.0000
Li 0.8252 0.5003 0.6749
In 0.0000 0.0000 0.5000
Rh 0.3363 0.3363 0.8360
Rh 0.6637 0.6637 0.1640
```

Results
SG	C2/m
total magnetic moment	0.000	μB/cell
Work order
The reader should repeat all of the material above without altering anything.
Completed
V2FePb | Alexandria via LeMat-Bulk | PBE | relaxed; final energy = -56.32 eV for the cell shown; formation enthalpy at 0 K = 0.56 eV/atom; crystal system = tetragonal
1.0
-3.5072 3.5072 2.6742
3.5072 -3.5072 2.6742
3.5072 3.5072 -2.6742
V Fe Pb
4 2 2
direct
0.0543 0.6250 0.9293 V
0.3750 0.3043 0.4293 V
0.6957 0.1250 0.0707 V
0.8750 0.9457 0.5707 V
0.0000 0.0000 0.0000 Fe
0.7500 0.2500 0.5000 Fe
0.2500 0.7500 0.5000 Pb
0.5000 0.5000 0.0000 Pb


--- a ---
The following is a GGA-PBE calculation of Li3InRh after structural relaxation, from the Alexandria database. Values from VASP.

Structure (Quantum ESPRESSO input):
```
&SYSTEM
  ibrav = 0, nat = 20, ntyp = 3
/
ATOMIC_SPECIES
Li 6.94 Li.upf
In 114.82 In.upf
Rh 102.91 Rh.upf
CELL_PARAMETERS angstrom
5.6196 0.0000 0.0000
0.0000 8.5621 0.0000
-4.7552 0.0000 6.5372
ATOMIC_POSITIONS crystal
Li 0.0323 0.1260 0.2618
Li 0.0323 0.3740 0.7618
Li 0.2140 0.6480 0.6461
Li 0.2140 0.8520 0.1461
Li 0.3702 0.6199 0.0330
Li 0.3702 0.8801 0.5330
Li 0.6298 0.1199 0.4670
Li 0.6298 0.3801 0.9670
Li 0.7860 0.1480 0.8539
Li 0.7860 0.3520 0.3539
Li 0.9677 0.6260 0.2382
Li 0.9677 0.8740 0.7382
In 0.3828 0.1323 0.0557
In 0.3828 0.3677 0.5557
In 0.6172 0.6323 0.4443
In 0.6172 0.8677 0.9443
Rh 0.2138 0.1071 0.6604
Rh 0.2138 0.3929 0.1604
Rh 0.7862 0.6071 0.8396
Rh 0.7862 0.8929 0.3396
```

Results
SG	P2_1/c
total magnetic moment	0.000	μB/cell



--- b ---
The following is a GGA-PBE calculation of Li3InRh after structural relaxation, from the Alexandria database. Values from VASP.

Structure (Quantum ESPRESSO input):
```
&SYSTEM
  ibrav = 0, nat = 5, ntyp = 3
/
ATOMIC_SPECIES
Li 6.94 Li.upf
In 114.82 In.upf
Rh 102.91 Rh.upf
CELL_PARAMETERS angstrom
4.6219 0.0000 0.0000
0.0000 4.6219 0.0000
0.0000 0.0000 4.6219
ATOMIC_POSITIONS crystal
Li 0.0000 0.0000 0.5000
Li 0.0000 0.5000 0.0000
Li 0.5000 0.0000 0.0000
In 0.5000 0.5000 0.5000
Rh 0.0000 0.0000 0.0000
```

Results
SG	Pm-3m
total magnetic moment	0.000	μB/cell



--- c ---
The following is a GGA-PBE calculation of Li3InRh after structural relaxation, from the Alexandria database. Values from VASP.

Structure (Quantum ESPRESSO input):
```
&SYSTEM
  ibrav = 0, nat = 5, ntyp = 3
/
ATOMIC_SPECIES
Li 6.94 Li.upf
In 114.82 In.upf
Rh 102.91 Rh.upf
CELL_PARAMETERS angstrom
2.9845 0.0000 0.0000
0.0011 4.3320 0.0000
1.4467 2.1569 6.6967
ATOMIC_POSITIONS crystal
Li 0.0000 0.0000 0.0000
Li 0.1472 0.6463 0.7099
Li 0.4400 0.4389 0.1216
In 0.7652 0.2600 0.4823
Rh 0.3378 0.8318 0.3383
```

Results
SG	P1
total magnetic moment	0.000	μB/cell



a comes first in stability; the runner-up is 64 meV/atom higher.



--- a ---
The following is a GGA-PBE calculation of Li6InRh2 after structural relaxation, from the Alexandria database. Values from VASP.

Structure (Quantum ESPRESSO input):
```
&SYSTEM
  ibrav = 0, nat = 9, ntyp = 3
/
ATOMIC_SPECIES
Li 6.94 Li.upf
In 114.82 In.upf
Rh 102.91 Rh.upf
CELL_PARAMETERS angstrom
2.1945 1.2670 9.1150
-2.1945 1.2670 9.1150
0.0000 -2.5339 9.1150
ATOMIC_POSITIONS crystal
Li 0.0723 0.0723 0.0723
Li 0.2172 0.2172 0.2172
Li 0.3096 0.3096 0.3096
Li 0.6904 0.6904 0.6904
Li 0.7828 0.7828 0.7828
Li 0.9277 0.9277 0.9277
In 0.5000 0.5000 0.5000
Rh 0.4054 0.4054 0.4054
Rh 0.5946 0.5946 0.5946
```

Results
SG	R-3m
total magnetic moment	0.000	μB/cell



--- b ---
The following is a GGA-PBE calculation of Li6InRh2 after structural relaxation, from the Alexandria database. Values from VASP.

Structure (Quantum ESPRESSO input):
```
&SYSTEM
  ibrav = 0, nat = 9, ntyp = 3
/
ATOMIC_SPECIES
Li 6.94 Li.upf
In 114.82 In.upf
Rh 102.91 Rh.upf
CELL_PARAMETERS angstrom
3.4444 -3.8337 0.0000
3.4444 3.8337 0.0000
-0.8442 0.0000 5.0774
ATOMIC_POSITIONS crystal
Li 0.1748 0.4997 0.3251
Li 0.1754 0.8246 0.0000
Li 0.4997 0.1748 0.3251
Li 0.5003 0.8252 0.6749
Li 0.8246 0.1754 0.0000
Li 0.8252 0.5003 0.6749
In 0.0000 0.0000 0.5000
Rh 0.3363 0.3363 0.8360
Rh 0.6637 0.6637 0.1640
```

Results
SG	C2/m
total magnetic moment	0.000	μB/cell